Question about Jesus and John

Actually Bandit the virgin birth doesn't bother me. It is only an observation I made. I believe anything as spectacular as a virgin birth would have been recorded by author of Mark and Paul would have commeneted on it also. If you believe in it that's cool.

I still do not follow the logic of yourself and Basstian. What do you say satan is behind. What counterfeit are we speaking of here? In what way is he deceiving us? Be specific please.
didymus said:
Actually Bandit the virgin birth doesn't bother me. It is only an observation I made. I believe anything as spectacular as a virgin birth would have been recorded by author of Mark and Paul would have commeneted on it also. If you believe in it that's cool.

I still do not follow the logic of yourself and Basstian. What do you say satan is behind. What counterfeit are we speaking of here? In what way is he deceiving us? Be specific please.
i cant explain it. Have you ever been lied to? have you ever been given a counterfeit bill? Satan is a liar (the father of lies) and deciever and can persuade and influence us to believe a lie, wether it be in gossip, mischief, books, accusations, that is what I mean.

i dont see the vigin birth as anything spectacular or so important as religion has made it out to be. there is a reason for it why it happened that way. that is most likely why it was not written very much about. the death burial and resurrection is spectacular. the life of Jesus is spectacular to me.
the birth of Jesus was a MEANS OF ARRIVAL not a magic trick. I think it was supposed to be quiet otherwise Herod would have found Jesus when he passed the decree to kill the males 2 and under. The same thing with John the baptist.
Like I am so sure Mary would go around broadcasting something like that. I think Mary and Elizabeth were brought together at that time because they both experienced a similiar thing, sort of like a witness or edification to both of them.
I dont believe the bible lies.
your satan theory is still fuzzy to me. why can't you explain it better? sure i've been lied to. how does that tie in to this thread?

How can you consider a resurrection spectacular and not a virgin birth? This to me is equally spectacular. I think you are right that Mary may have kept quiet about it. Mark was written 20-30 years after Jesus died. Paul's letters were written 20 years later. If they were trying to bring people to christ they would have mentioned his virgin birth because that is a detail you wouldn't leave out.
because the birth did not bring salvation. the cross did.

**Data records, kept here for reference**
********
# C22H42MoN6O2P2S2

C22H42MoN6O2P2S2 as an isolated structure in a non-equilibrium geometry (the ωB97M-V functional and the def2-TZVPD basis, the OMol25 dataset).

```
77
Properties=species:S:1:pos:R:3:lowdin_spin:R:1
Mo 0.48463 -0.98924 -0.79829 0.97
S 1.24453 -1.83460 1.34542 0.08
S 2.86452 -1.09255 -1.28864 -0.01
P -1.40960 1.63174 0.20836 -0.01
P 3.10453 -2.10769 0.48642 0.01
O 3.28323 -3.61991 0.23623 0.00
O 4.35128 -1.63638 1.26181 0.01
N 0.42717 -0.98088 -2.96387 0.01
N -0.04518 -2.18099 -4.78440 0.00
N -2.22531 -4.85875 -2.08142 0.00
N -0.74632 -2.66792 -1.27956 0.00
N -0.67276 0.21582 -0.27875 -0.09
N 0.63193 -1.07068 -5.09731 0.00
C 4.31480 0.12944 2.96405 0.00
C 4.79682 -0.27660 1.59246 0.00
C -3.96513 1.12323 -0.87077 0.00
C -3.10343 3.46390 -1.10340 0.00
C -2.15108 -4.51424 -0.80279 0.00
C -0.53508 4.17749 0.96518 0.00
C -0.00710 2.93418 0.24316 0.00
C 4.37383 -4.51810 0.72706 0.00
C -2.16315 1.57624 -2.49991 0.00
C -2.14356 1.23569 1.91218 0.00
C -1.58144 -4.12501 -2.97319 0.00
C 1.24042 2.40684 0.95982 0.00
C -0.83611 -3.01607 -2.58225 0.00
C 4.26260 -4.78542 2.20697 0.00
C -2.88635 -0.11283 1.83644 0.00
C -3.08805 2.36288 2.33397 0.00
C -0.15774 -2.11227 -3.49052 0.00
C 0.40634 3.26345 -1.19407 0.00
C -2.72581 1.98191 -1.13328 0.00
C -1.40517 -3.41830 -0.38554 0.01
C 0.92411 -0.34903 -4.02072 0.01
C -1.00333 1.10853 2.92776 0.00
H 5.88105 -0.33463 1.55433 0.00
H 4.21611 -5.41592 0.13891 0.00
H -1.24282 2.09627 -2.75452 0.00
H -0.51741 2.06096 3.13101 0.00
H -2.37358 -0.83562 1.20010 0.00
H -0.38729 3.71363 -1.78484 0.00
H -2.69276 -5.12631 -0.09228 0.00
H -3.52887 2.08643 3.29359 0.00
H 5.32577 -4.06591 0.45846 0.00
H 4.80717 1.06155 3.24120 0.00
H -3.91160 -0.00245 1.49767 0.00
H 1.47259 0.57972 -4.02028 0.00
H -1.32776 -3.14520 0.65743 0.00
H 0.18417 4.98986 0.84883 0.00
H 4.42216 -3.88139 2.79089 0.00
H 2.01641 3.16978 0.87780 0.00
H -4.50289 1.41753 0.02666 0.00
H -3.44387 3.78787 -0.11920 0.00
H 3.23506 0.28806 2.98337 0.00
H 4.57882 -0.62093 3.70788 0.00
H 0.85336 -0.88101 -6.06819 0.00
H 1.21986 3.98948 -1.15614 0.00
H -1.48705 4.52486 0.56353 0.00
H -0.26631 0.36182 2.62825 0.00
H -2.29706 4.11764 -1.43025 0.00
H 0.78506 2.37334 -1.70603 0.00
H 4.44773 0.40257 0.81292 0.00
H -3.72729 0.06041 -0.82853 0.00
H -2.90752 1.83526 -3.25470 0.00
H -0.64967 4.00370 2.03499 0.00
H 3.29505 -5.21776 2.46140 0.00
H -1.44145 0.77711 3.87045 0.00
H -3.90681 2.51712 1.63345 0.00
H 1.08449 2.21198 2.01580 0.00
H 1.62282 1.50612 0.48174 0.00
H -4.65033 1.26849 -1.70827 0.00
H -1.64593 -4.40075 -4.01960 0.00
H -2.56744 3.31052 2.47071 0.00
H -3.93490 3.60849 -1.79569 0.00
H -2.92860 -0.53467 2.84123 0.00
H 5.03496 -5.50186 2.48672 0.00
H -2.00245 0.49997 -2.54937 0.00
```

- 2S+1: 2
- Frontier orbital gap (alpha / beta): 0.283 / 0.278 Eh
- Total charge: +3
- E_LUMO (alpha / beta): -10.36 / -10.77 eV

***

# C22H42N4O7P2SV

C22H42N4O7P2SV as an isolated structure (the ωB97M-V functional and the def2-TZVPD basis, the OMol25 dataset).

```
79
********

you will just have to see satan however you see it. if you cannot understand he is the father of lies, then i dont know what else to tell you.

/*
Entry from OMol25: a 13-piece molecular cluster, C84H190N4O31 overall at a distorted geometry (ωB97M-V with the def2-TZVPD basis set).

Geometry as XYZ:
```
309
Properties=species:S:1:pos:R:3:lowdin_charge:R:1
C 21.445 27.137 15.099 0.01
C 20.238 28.209 15.131 -0.46
C 18.944 27.465 14.781 -0.13
C 18.414 26.574 15.957 -0.17
C 18.322 27.469 17.179 -0.14
C 19.574 28.260 17.598 -0.46
N 20.052 28.984 16.399 -0.09
O 21.313 29.575 16.559 -0.04
C 19.190 29.318 18.597 -0.05
C 20.607 27.229 18.289 -0.01
C 20.446 29.248 14.023 -0.05
H 21.817 26.951 14.054 0.08
H 21.081 26.200 15.470 0.05
H 22.309 27.456 15.684 0.04
H 18.152 28.192 14.494 0.13
H 19.031 26.787 13.951 0.09
H 19.031 25.686 16.038 0.07
H 17.426 26.095 15.800 0.11
H 17.897 26.996 18.050 0.10
H 17.569 28.192 16.856 0.12
H 18.619 28.905 19.403 0.06
H 19.967 29.884 19.039 0.06
H 18.495 30.076 18.116 0.11
H 21.577 27.621 18.645 0.07
H 20.161 26.814 19.195 0.04
H 20.882 26.314 17.752 0.06
H 20.337 28.768 13.020 0.09
H 21.456 29.642 13.974 0.07
H 19.779 30.091 14.101 0.08
H 21.941 28.789 16.595 0.09
C 18.328 23.401 21.385 0.00
C 19.095 23.050 20.109 -0.45
C 20.366 22.168 20.391 -0.10
C 20.973 21.621 19.101 -0.18
C 19.906 20.865 18.358 -0.13
C 18.744 21.770 17.875 -0.47
N 18.221 22.327 19.136 -0.06
O 17.040 23.093 18.819 -0.02
C 19.155 22.806 16.823 0.00
C 17.663 20.774 17.393 -0.01
C 19.620 24.369 19.500 -0.03
H 19.010 23.713 22.162 0.05
H 17.763 22.502 21.766 0.09
H 17.599 24.158 21.200 0.05
H 21.051 22.724 21.072 0.10
H 19.933 21.276 20.913 0.12
H 21.859 20.988 19.295 0.10
H 21.386 22.375 18.425 0.08
H 19.475 20.037 18.884 0.09
H 20.453 20.469 17.463 0.13
H 20.209 23.069 16.934 0.06
H 19.078 22.469 15.777 0.07
H 18.569 23.731 17.010 0.08
H 17.371 20.176 18.232 0.06
H 16.823 21.370 16.995 0.07
H 18.063 20.193 16.572 0.07
H 18.784 24.970 19.164 0.08
H 20.439 24.208 18.804 0.06
H 20.137 24.919 20.281 0.06
H 16.313 22.630 19.227 0.06
C 17.716 20.605 27.950 -0.05
C 18.796 21.306 27.160 -0.51
C 20.192 21.084 27.922 -0.11
C 21.458 21.393 27.099 -0.15
C 21.415 20.690 25.694 -0.11
C 20.109 20.999 24.992 -0.51
N 18.952 20.643 25.876 -0.08
O 17.683 20.685 25.204 -0.02
C 20.066 22.433 24.423 -0.03
C 20.032 20.121 23.792 -0.06
C 18.501 22.860 27.111 -0.02
H 17.723 21.035 28.996 0.11
H 17.905 19.522 28.031 0.09
H 16.769 20.681 27.477 0.06
H 20.208 21.730 28.788 0.10
H 20.077 20.057 28.325 0.12
H 22.309 21.164 27.710 0.09
H 21.537 22.492 26.911 0.11
H 21.512 19.603 25.754 0.13
H 22.261 21.025 25.082 0.10
H 19.025 22.841 24.369 0.09
H 20.687 23.095 24.991 0.06
H 20.443 22.425 23.373 0.07
H 20.998 20.012 23.371 0.07
H 19.762 19.096 24.106 0.11
H 19.337 20.460 23.010 0.07
H 18.430 23.141 28.147 0.06
H 17.558 23.154 26.570 0.10
H 19.388 23.357 26.683 0.06
H 17.791 21.270 24.445 0.07
C 16.948 14.794 21.215 -0.11
O 17.255 16.176 21.110 -0.22
C 16.901 16.897 22.303 -0.18
C 16.984 18.351 22.012 -0.22
O 15.736 18.841 21.706 -0.10
C 15.785 20.090 21.195 -0.24
C 14.458 20.821 21.277 -0.14
O 14.716 22.183 20.825 -0.21
*/

this is what Paul said.
Gal4:4"But when the fulness of the time was come, God sent forth His Son, made of a woman, made under the law."
actually I don't see satan in any of this. That is why I keep asking why you refer to him. How does satan apply to anything we are discussing?
i am not going to debate with gnostics. then you wonder why christians dont want to talk with gnostics. they dont know when to stop.
Bandit, i'm not gnostic. All I did was ask you to clarify what you were saying because it was unclear to me. How do you see this as going on and on?
Ok, i thought about it. are you proposing that satan is lying to me through the Bible? You said satan knows scripture better than us( or maybe basstian said it)my point is that my observation was based off books in the bible. no other source was involved. this is why i am confused by your statements.
the books that you mention outside of the bible and there authors are indeed gnostic. I spent plenty of time on an ALL gnostic board to know how they operate with the scriptures. I know every song and dance.

I asked a question who do you say that Jesus is. Your answer was the answer of the gnostics and mystics.
The bible does not lie. Satan Lies. and some of the shiny books and authors you read and have mentioned, IMHO are that of the devil and influence many to disreguard what the bible is really about.
I dont know how deep you are into it, but deep enough that I dont think I can help you out of it. No matter how much we discuss and dance around.

The death, burial and resurrection and obedience to the will of God, of the man Jesus is what brought us salvation and can deliver us from death. Not his birth and miracles and healings or some cosmic elctromagnetic force .

because the birth did not bring salvation. the cross did.
I love you like a brother Didymus, because I know you were brought up in the truth of the bible and I am concerned for the direction you have taken, but I know that I cannot stop you and I will not try to stop you but I cannot walk with you in the same spirit because I feel it is not the right spirit.
You have to do what you have to do. That is all I can say.
Wait Wait Wait LOL PEACE

My comments about Counterfeits Got that Started Let me be Very Clear.

From the Begining of cultures Like say ancient Babylon stories and myths have been created that look and sound very much like what came to pass in the Birth of Christ.
Look at the story of Tammuz and there are striking similiarities. I do believe Satan has spawned many false gods and even false messiahs in an efort to confuse and decieve mankind. He knew well of Gods plans and understood the prophecies as well or better than we can today.

I wasnt trying to draw away from the subject but rather shed light on a possible "Why" there are doves,godmen and even resurections in ancient cultures. These are the counterfeits I was eluding to sorry to have caused a fuss.

I wasnt saying any individual had been lied to but rather Satan in his purpose has been trying to deceive the whole world.
I hope this explains it better because I wasnt pointing at anybodies beliefs but rather at the deceptions we see in history.
Bandit, honestly i am not that involved in gnosticism. yes i have read quite a bit of it and enough to say i don't subscribe to all of it. some of it i do believe. i think there are many spiritual truths in gnostic writings.

The satan thing got really out of control. Yes, i made a comment earlier from the gospel of thomas. but my main point was the virgin birth. i do not believe that satan is influencing me at all. the observation i made about mary and jesus was from the bible, no other source was involved. i read mark and paul's letter and noticed there was no mention of it. that is not a satanic attack brother that is simply reading and interpreting what i read.
go with what you feel is best Didymus but I know some of those books are where you get your questions and doubts from about the bible. We have to be careful with what we read and watch and listen to. They leave us with influences that can make us feel all is ok but it might not be all ok.

I am sticking with bible, the Lord Jesus, the one true God and a little bit of faith all the way. That way I know there is no counterfeit. You can come with me if you want to.:)
Paul did mention the birth of Jesus, but you are missing it. Jesus was MADE.

Gal4:4"But when the fulness of the time was come, God sent forth His Son, made of a woman, made under the law."
dear didymus,
u r intelligent....
ur question about john and jesus
yes john no that he is a prophet of god but he was searchig for the final prophet of he asked jesus if he is the coming(the last prophet) or we wait another?
the last prophet was mohammad (pbuh)
and all prophet of god know him, he is the mercy to the world
john know two prophets coming
one with miracles of healing,rising up deads>>>>this is jesus
onother with the holy quran>>>>>he is mohammed
so when they asked jesus he replied that to tell john about miracles
even jews no that there is prophet after christ so they asked john"[21] And they asked him, What then? Art thou Elias? And he saith, I am not. Art thou that prophet? And he answered, No."
i see that my reply is clear
"Behold! Allah took the covenant of the prophets, saying: "I give you a Book and Wisdom; then comes to you a messenger, confirming what is with you; do ye believe in him and render him help." Allah said: "Do ye agree, and take this my Covenant as binding on you?" They said: "We agree." He said: "Then bear witness, and I am with you among the witnesses." (quran 3 :81)
Ok, Bandit I'll say this peacefully to you. No gnostic text that i read had any influence on my statement of the virgin birth. Zilch. I got it from the Bible and only the Bible. Paul mentions Jesus' birth but did not say any such thing of a virgin birth. Neither did Mark. Case and point.

Another observation getting back to John and Jesus. We were discussing whether or not John and anybody else saw the dove or heard the voice of God. In Matthew and Mark you can't tell one way or the other. Maybe just Jesus saw it or maybe they both did. Later in the gospel John certainly had doubt as to whether Jesus was the one or not. Well I found in John, chapter 1 verse 29-34.
John 1:29 The next day John saw Jesus coming towards him, and said,"behold the lamb of god who takes away the sin of the world! This is he of whom i speak, after me comes a man who is preferred before me, for he was before me. I did not know him, but that he should be revealed to israel, there fore i came baptizing in water. and John bore witness saying,"I saw the spirit descend on him like a dove, and he remained upon him, i did not know him, but he who sent me to baptize with water said to me'upon whom you see the spirit descending and remaining on him, this is he who baptizes with the holy spirit, and i have seen and testified that this is the son of god"

John specifically states he saw the dove and heard God's voice from above. This is not in line with the other gospels of Luke and Matthew. So either he saw the dove and heard the voice of God and knew jesus was the one or he didn't. If John is accurate then Luke and Mathew are not or vice versa.

My opinion is that the legend of Jesus grew and grew and eventually he was turned into a god. By the time John was written I think the majority of christians were gentiles and were receiving information about Jesus that was handed down for 4 or more generations.
John was the last gospel written, perhaps in 100-110ad. This 70-80 years after Christ died. Surely Jesus was sent by God, he was holy beyond measure and I don't dispute that but I find discrepancies in the Bible that can't be overlloked. To me my belief in Jesus and God are not dependent on the accuracy of the Bible.
correction, i referred to mark regarding john and jesus, i meant to say matthew and luke.
John was the last gospel written, perhaps in 100-110ad. This 70-80 years after Christ died. Surely Jesus was sent by God, he was holy beyond measure and I don't dispute that but I find discrepancies in the Bible that can't be overlloked. To me my belief in Jesus and God are not dependent on the accuracy of the Bible.

this is why i do not discuss bible with people who do not believe it all, which explains why you see things the way you do because you allow others to persuade you in that direction... and why i see the bible different. so there is really no point to you and i discussing the bible, which is what i have been trying to say all along.

thanks, but i wont be adding any more to this.
ooops Bandit you peaked.

I thought you weren't coming back. Nobody has persuaded me one way or the other. Nobody! How many times have i told you that i got what i got from reading the bible. anything i say is from reading the text myself and forming an opinion. anybody with eyes can read luke, matthew and john and see the confliction of statements.
didymus said:
I think that John, being Jesus' cousin probably would have heard through the family that Jesus was conceived by the Holy Spirit and that Mary and John's mother elizabeth had that profound experience together where she felt the jumping in the womb. This combined with the experience Jesus had at the river Jordan would have been enough that John would have no need to question anything about jesus' messiahship. So this strikes me as very strange and even suspicious that John would ask.

Jesus' response was that people were being healed . He did not say he was the one to come.
Yes, but is is also written that a prophet is welcomed everywhere, but in his home town. Kind of hard to accept that your own kin is ...God? I suspect it would take a bit of getting used to.

